
JA Content listing for Joomla

Display Joomla articles in smart layouts

Listing your content smartly will be a great means of communication to inspire your audience. Simply build your content blocks by loading content from one or multiple categories. With many options for layout and filtering content your ways, this module is all you need to organize your articles.

Highlighted features:

  • Multiple layouts support
  • Multiple article styles support
  • 16 Heading styles
  • Display content from one or multiple categories
  • Flexible settings to sort and filter content
  • Featured (highlighted) item

View JA Content Listing module demo

Install the JA Content listing module to your Joomla site with easy steps:

  • Step 1: download the latest version of JA Content listing module from this page
  • Step 2: install the module to your Joomla website. From your back-end setting panel, go to: "Extensions > Extension Manager", browse the T4 plugin installation file then hit the "Upload and Install"

From your Joomla website administration page, go to Extensions » Module, add a new module then select JA Content listing module type.

Joomla article display module

Assign the position and pages to show the module on.

Joomla article display module settings

The module includes the 3 main configuration panels

  • Data source settings
  • Layout settings
  • Item settings

Content source settings:

JA Content Listing module allows you to display from one or multiple categories, simply select the categories you want to show content from.

In case the category has child categories, you can select the parent category and enable the showing content from children categories.

Joomla article display module settings

Settings for the content source configuration:

  • Categories: assign one or multiple categories to show articles from
  • Child Category Articles: Select Yes to include articles from child categories as well.
  • Category Depth: set the category level.
  • Display Featured Articles: select the option to show, hide or display only featured articles.
  • Articles Sorted By: set the article ordering by hits, title, date or other.
  • Ascending or Descending: set the ascending or descending order for articles (based on the sorted by settting above). Eg: If you set the sort by = 'Created Date' above and set this to 'DESC' then the newest created articles will be displayed first

Layout settings

JA Content listing module supports 9 different layouts by default to show articles, and we plan to release more layouts in the next version.

Joomla article display module layout settings

  • Layout Settings: Select a layout from pre-built layout options
  • Layout Gutter: Set the gutter space (in pixel) - the space between items in the content block
  • Enable Heading: Enable this option to show the module title as the section heading
  • Column Setting: Configure the no.column to show articles
  • Tablet Column: Configure the no.column for tablet view
  • Desktop Column: Configure the no.column for desktop view
  • Highlight item: Select the article number that is set as featured (highlight) article.
  • Show view more: Enable this option to display view more buttom
  • Count: The number of items to display. The default value of 0 will display all articles.

Heading style

Joomla article heading style settings

Column and other settings

Joomla article listing column setting

For each layout you select, there will be different settings like column, article limits and more

  • Column Setting: configure the column to show in the article listing block (not the featured item)
  • Highlight item: select the article number that is set as featured (highlight) article.
  • Count: The number of items to display. The default value of 0 will display all articles.

In front-end, you will get a section that list your content in a beautiful layout

Joomla article display module layout settings

Item / Article style settings

Same as layout, the modules comes with multiple styles for article, just simply select a style.

JA Content listing module settings

There are more settings to configure the article styles your way such as content alignment, media ratio, category link style, introtext limit and more.

# Quantum chemistry results, as found in the file
=====
Entry A
{
  "formula": "C5H17N2O",
  "method": "wB97M-V/def2-TZVPD",
  "species": ["C", "N", "C", "C", "N", "C", "C", "H", "H", "H", "H", "H", "H", "H", "H", "H", "H", "H", "H", "H", "H", "H", "H", "H", "O"],
  "coordinates": [[1.547, -0.988, -0.072], [2.857, -0.412, 0.268], [3.398, 0.529, -0.724], [0.483, 0.034, -0.250], [-2.514, -1.364, -1.250], [-1.015, 0.384, 1.718], [0.138, 0.975, 0.821], [1.691, -1.547, -0.998], [1.313, -1.704, 0.723], [2.814, 0.004, 1.182], [3.581, 0.009, -1.660], [4.335, 0.940, -0.360], [2.742, 1.379, -0.938], [0.294, 0.427, -1.251], [-2.502, -2.160, -0.617], [-2.531, -1.743, -2.198], [-1.620, -0.905, -1.104], [-1.241, 1.044, 2.548], [-0.697, -0.593, 2.081], [-1.908, 0.269, 1.105], [-0.191, 1.917, 0.385], [1.020, 1.179, 1.431], [-3.618, 0.145, -0.645], [-4.632, 1.288, -0.166], [-3.742, 0.894, -0.032]],
  "charge": 1
}


Entry B
{
  "formula": "C5H17N2O",
  "method": "wB97M-V/def2-TZVPD",
  "species": ["C", "N", "C", "C", "N", "C", "C", "H", "H", "H", "H", "H", "H", "H", "H", "H", "H", "H", "H", "H", "H", "H", "H", "H", "O"],
  "coordinates": [[1.226, 0.093, -1.191], [1.447, 0.327, 0.227], [2.165, 1.555, 0.587], [-0.059, 0.767, -1.618], [-1.143, 0.320, -0.666], [-1.673, -1.049, -0.893], [-2.098, -1.681, 0.437], [1.215, -0.982, -1.389], [2.012, 0.485, -1.832], [1.888, -0.490, 0.617], [2.926, 1.802, -0.155], [2.672, 1.369, 1.532], [1.511, 2.418, 0.667], [-0.348, 0.578, -2.639], [0.027, 1.848, -1.477], [-1.885, 1.012, -0.747], [-0.674, 0.412, 0.243], [-0.914, -1.651, -1.359], [-2.499, -0.962, -1.592], [-1.866, -2.739, 0.537], [-1.671, -1.185, 1.310], [-3.179, -1.557, 0.556], [0.313, -0.147, 2.175], [0.689, -0.254, 3.624], [-0.082, -0.286, 3.046]],
  "charge": 1
}


The structure with the most favorable energy is entry B; the runner-up is 283.2 kJ/mol above it.
=====

JA Content listing module settings

Here is an example of the front-end of the article style.

JA Blockk documentation

For each section, you can set an article as a highlighted (featured) article that has different style from normal items. Simply select a different article style from the Global settings and configure other settings if you want.

ja content listing featured article settings

An example of featured item in front-end.

ja content listing featured article settings

The featured item settings are the same with the global article settings to make the feature item style the way you want.

In this section, we will guide you how to customize the layout and style for JA Content listing in the way that your work is all fine when you upgrade the module.

First, please check the file and folder structure of the JA Content listing module below:

	+-- admin/
	+-- assets/
	+-- helpers/
	+-- tmpl/                  /*  layout and style files that you can customize*/ 
	¦    +-- layouts/layout-01/
	¦    ¦    +-- index.php
	¦    ¦    +-- info.xml
	¦    ¦    +-- script.js
	¦    ¦    +-- style.css
	¦    ¦    +-- style.scss
	¦    +-- layouts/layout-02/

	¦    +-- items/default/
	¦    ¦    +-- index.php
	¦    ¦    +-- script.js
	¦    ¦    +-- style.css
	¦    ¦    +-- style.scss
	¦    +-- items/item-01/

	¦    +-- elements/
	¦    ¦    +-- category.php
	¦    ¦    +-- heading.php
	¦    ¦    +-- introtext.php
	¦    ¦    +-- introtext.php
	¦    ¦    +-- media.php
	¦    ¦    +-- readmore.php

	+-- helper.php/span>/
	+-- mod_jacontentlisting.php
	+-- mod_jacontentlisting.xml/

Create overrides for layout and style

It is easy to create override for JA Content Listing module to any template, just follow the standard Joomla module override workflow.

Step 1: create JA Content listing module folder in "html" folder of template. It should be templates/your_template/html/ja_contentlisting/

Step 2: copy the folders inside the folder /modules/mod_jacontentlisting/tmpl/ to the new created folder in your template

ja content listing featured article override

Now, you can do any customization for the JA Content listing module. For each layout and item, it comes with its own .css file, you can customize style for layout and article using the file.

The best method to upgrade JoomlArt products is using JA Extension Manager. The FREE extension brings a new way to manage extensions: upgrade, rollback, remote install, internal repository, and compare versions, and more.

1. Set up JA Extension Manager Component

Download this free extension from this link. Install the extension to your website.

Go to Components > JA Extension Manager then selects Service Manager, now set JoomlArt as your default service. Next, hit the "Edit" button then add your account.

enable t4 Joomla template framework plugin

2. Upgrade JA Content Listing module

Check the new version of the JA Content Listing module. Using the filter to find the JA Content Listing then hit the "Check Update" button to check for a new version then hit the Upgrade Now to upgrade the extension to the latest version.

Check out more details about JA Extension manager